Input:
Structure and calculated powder X-ray diffraction pattern of Sn3BrF5 (a cell relaxed with PBE; λ = 1.5418 Å (Cu Kα)).

Top 6 peaks for 10° ≤ 2θ ≤ 90°, by intensity:
28.4 deg, d = 3.147 Å, intensity 100, (1 2 -3)
27.5 deg, d = 3.249 Å, intensity 43, (0 0 4)
27.6 deg, d = 3.228 Å, intensity 42, (0 4 0)
24.8 deg, d = 3.595 Å, intensity 34, (1 2 -1)
49.1 deg, d = 1.855 Å, intensity 19, (1 2 -7)
39.3 deg, d = 2.290 Å, intensity 16, (0 4 4)

Atomic structure:
a = 4.3311 Å, b = 12.9127 Å, c = 13.6908 Å
α = 90.00°, β = 108.34°, γ = 90.00°
Fractional coordinates of all 36 atoms:
1 Sn 0.1637 0.1019 0.1022
2 Sn 0.1637 0.3981 0.6022
3 Sn 0.2081 0.6250 0.8444
4 Sn 0.2081 0.8750 0.3444
5 Sn 0.2125 0.6574 0.1321
6 Sn 0.2125 0.8426 0.6321
7 Sn 0.7875 0.1574 0.3679
8 Sn 0.7875 0.3426 0.8679
9 Sn 0.7919 0.1250 0.6556
10 Sn 0.7919 0.3750 0.1556
11 Sn 0.8363 0.6019 0.3978
12 Sn 0.8363 0.8981 0.8978
13 Br 0.3890 0.1243 0.8772
14 Br 0.3890 0.3757 0.3772
15 Br 0.6110 0.6243 0.6228
16 Br 0.6110 0.8757 0.1228
17 F 0.1236 0.0109 0.6241
18 F 0.1236 0.2268 0.6046
19 F 0.1236 0.2732 0.1046
20 F 0.1236 0.4891 0.1241
21 F 0.3026 0.1002 0.2735
22 F 0.3026 0.3998 0.7735
23 F 0.3253 0.6533 0.3423
24 F 0.3253 0.8467 0.8423
25 F 0.4370 0.6208 0.0122
26 F 0.4370 0.8792 0.5122
27 F 0.5630 0.1208 0.4878
28 F 0.5630 0.3792 0.9878
29 F 0.6747 0.1533 0.1577
30 F 0.6747 0.3467 0.6577
31 F 0.6974 0.6002 0.2265
32 F 0.6974 0.8998 0.7265
33 F 0.8764 0.5109 0.8759
34 F 0.8764 0.7268 0.8954
35 F 0.8764 0.7732 0.3954
36 F 0.8764 0.9891 0.3759

~~~~~

No. 1
# Cr8Cu3NiS16
Theoretical X-ray diffraction stick pattern, a wavelength of 1.5418 Å. Input: a cell relaxed with PBE.
No peak broadening, texture or thermal motion is included.

Most intense lines, 2θ = 5–70°, sorted by position:
| 2θ (°) | I_rel | hkl |
| --- | --- | --- |
| 25.67 | 37 | 1 1 0 |
| 30.19 | 100 | 2 0 2 |
| 36.62 | 42 | 2 0 8 |
| 45.25 | 14 | 3 0 0 |
| 48.17 | 43 | 3 0 6 |
| 52.75 | 85 | 2 2 0 |
| 61.99 | 11 | 1 0 22 |
| 65.92 | 8 | 0 4 8 |

Atomic structure:
a b c (Å): 6.9406 6.9406 34.0155
angles (deg): 90.00 90.00 120.00
Space group R3m (No. 160, hexagonal axes)
Symmetry-distinct sites (fractional):
Cr 0.0000 0.0000 0.0000 x3
Cr 0.0000 0.0000 0.4994 x3
Cr 0.0007 0.5004 0.2499 x9
Cr 0.0007 0.5004 0.7491 x9
Cu 0.0000 0.0000 0.1870 x3
Cu 0.0000 0.0000 0.3120 x3
Cu 0.0000 0.0000 0.8122 x3
Ni 0.0000 0.0000 0.6870 x3
S 0.0000 0.0000 0.1203 x3
S 0.0000 0.0000 0.3784 x3
S 0.0000 0.0000 0.6222 x3
S 0.0000 0.0000 0.8788 x3
S 0.0213 0.5106 0.1229 x9
S 0.0216 0.5108 0.6235 x9
S 0.1737 0.3474 0.7086 x9
S 0.1773 0.3545 0.2093 x9

=====

No. 2
# Mg5Si9
Theoretical X-ray diffraction stick pattern, a wavelength of 1.5418 Å. Input: a cell relaxed with PBE.
No peak broadening, texture or thermal motion is included.

Most intense lines, 2θ = 5–70°, sorted by position:
| 2θ (°) | I_rel | hkl |
| --- | --- | --- |
| 27.75 | 71 | 2 1 2 |
| 31.37 | 91 | 2 1 3 |
| 32.78 | 71 | 1 2 -2 |
| 35.17 | 95 | 0 1 -4 |
| 37.11 | 100 | 0 2 4 |
| 39.97 | 77 | -2 1 2 |
| 40.49 | 73 | 3 1 2 |
| 40.76 | 69 | 2 0 4 |

Atomic structure:
a b c (Å): 6.9982 7.0760 12.6127
angles (deg): 76.38 82.26 62.50
Space group P1 (No. 1)
Symmetry-distinct sites (fractional):
Mg 0.0000 0.0000 0.0000 x1
Mg 0.0059 0.3728 0.3542 x1
Mg 0.1374 0.4928 0.0887 x1
Mg 0.2005 0.0760 0.7665 x1
Mg 0.2240 0.4871 0.5234 x1
Mg 0.4134 0.9390 0.5457 x1
Mg 0.4310 0.1286 0.9856 x1
Mg 0.6208 0.7029 0.1497 x1
Mg 0.7734 0.6952 0.7290 x1
Mg 0.8567 0.1925 0.2051 x1
Si 0.0321 0.3883 0.8994 x1
Si 0.1203 0.8195 0.6612 x1
Si 0.2500 0.7959 0.3283 x1
Si 0.2978 0.4567 0.7714 x1
Si 0.3175 0.0791 0.2112 x1
Si 0.4476 0.1719 0.3470 x1
Si 0.4609 0.7539 0.9302 x1
Si 0.5232 0.1701 0.6704 x1
Si 0.5574 0.4449 0.3418 x1
Si 0.5640 0.4018 0.0431 x1
Si 0.6385 0.4044 0.8476 x1
Si 0.6989 0.3051 0.5183 x1
Si 0.7799 0.8505 0.3935 x1
Si 0.8077 0.5588 0.5448 x1
Si 0.8170 0.7525 0.9379 x1
Si 0.8319 0.0280 0.7858 x1
Si 0.9881 0.9673 0.4764 x1
Si 0.9984 0.7660 0.2281 x1

=====

No. 3
# Cs3HSe2O8
Assignment:
The reader should type out everything further up word for word.
Here it is:
Structure and calculated powder X-ray diffraction pattern of Sn3BrF5 (a cell relaxed with PBE; λ = 1.5418 Å (Cu Kα)).

Top 6 peaks for 10° ≤ 2θ ≤ 90°, by intensity:
28.4 deg, d = 3.147 Å, intensity 100, (1 2 -3)
27.5 deg, d = 3.249 Å, intensity 43, (0 0 4)
27.6 deg, d = 3.228 Å, intensity 42, (0 4 0)
24.8 deg, d = 3.595 Å, intensity 34, (1 2 -1)
49.1 deg, d = 1.855 Å, intensity 19, (1 2 -7)
39.3 deg, d = 2.290 Å, intensity 16, (0 4 4)

Atomic structure:
a = 4.3311 Å, b = 12.9127 Å, c = 13.6908 Å
α = 90.00°, β = 108.34°, γ = 90.00°
Fractional coordinates of all 36 atoms:
1 Sn 0.1637 0.1019 0.1022
2 Sn 0.1637 0.3981 0.6022
3 Sn 0.2081 0.6250 0.8444
4 Sn 0.2081 0.8750 0.3444
5 Sn 0.2125 0.6574 0.1321
6 Sn 0.2125 0.8426 0.6321
7 Sn 0.7875 0.1574 0.3679
8 Sn 0.7875 0.3426 0.8679
9 Sn 0.7919 0.1250 0.6556
10 Sn 0.7919 0.3750 0.1556
11 Sn 0.8363 0.6019 0.3978
12 Sn 0.8363 0.8981 0.8978
13 Br 0.3890 0.1243 0.8772
14 Br 0.3890 0.3757 0.3772
15 Br 0.6110 0.6243 0.6228
16 Br 0.6110 0.8757 0.1228
17 F 0.1236 0.0109 0.6241
18 F 0.1236 0.2268 0.6046
19 F 0.1236 0.2732 0.1046
20 F 0.1236 0.4891 0.1241
21 F 0.3026 0.1002 0.2735
22 F 0.3026 0.3998 0.7735
23 F 0.3253 0.6533 0.3423
24 F 0.3253 0.8467 0.8423
25 F 0.4370 0.6208 0.0122
26 F 0.4370 0.8792 0.5122
27 F 0.5630 0.1208 0.4878
28 F 0.5630 0.3792 0.9878
29 F 0.6747 0.1533 0.1577
30 F 0.6747 0.3467 0.6577
31 F 0.6974 0.6002 0.2265
32 F 0.6974 0.8998 0.7265
33 F 0.8764 0.5109 0.8759
34 F 0.8764 0.7268 0.8954
35 F 0.8764 0.7732 0.3954
36 F 0.8764 0.9891 0.3759

~~~~~

No. 1
# Cr8Cu3NiS16
Theoretical X-ray diffraction stick pattern, a wavelength of 1.5418 Å. Input: a cell relaxed with PBE.
No peak broadening, texture or thermal motion is included.

Most intense lines, 2θ = 5–70°, sorted by position:
| 2θ (°) | I_rel | hkl |
| --- | --- | --- |
| 25.67 | 37 | 1 1 0 |
| 30.19 | 100 | 2 0 2 |
| 36.62 | 42 | 2 0 8 |
| 45.25 | 14 | 3 0 0 |
| 48.17 | 43 | 3 0 6 |
| 52.75 | 85 | 2 2 0 |
| 61.99 | 11 | 1 0 22 |
| 65.92 | 8 | 0 4 8 |

Atomic structure:
a b c (Å): 6.9406 6.9406 34.0155
angles (deg): 90.00 90.00 120.00
Space group R3m (No. 160, hexagonal axes)
Symmetry-distinct sites (fractional):
Cr 0.0000 0.0000 0.0000 x3
Cr 0.0000 0.0000 0.4994 x3
Cr 0.0007 0.5004 0.2499 x9
Cr 0.0007 0.5004 0.7491 x9
Cu 0.0000 0.0000 0.1870 x3
Cu 0.0000 0.0000 0.3120 x3
Cu 0.0000 0.0000 0.8122 x3
Ni 0.0000 0.0000 0.6870 x3
S 0.0000 0.0000 0.1203 x3
S 0.0000 0.0000 0.3784 x3
S 0.0000 0.0000 0.6222 x3
S 0.0000 0.0000 0.8788 x3
S 0.0213 0.5106 0.1229 x9
S 0.0216 0.5108 0.6235 x9
S 0.1737 0.3474 0.7086 x9
S 0.1773 0.3545 0.2093 x9

=====

No. 2
# Mg5Si9
Theoretical X-ray diffraction stick pattern, a wavelength of 1.5418 Å. Input: a cell relaxed with PBE.
No peak broadening, texture or thermal motion is included.

Most intense lines, 2θ = 5–70°, sorted by position:
| 2θ (°) | I_rel | hkl |
| --- | --- | --- |
| 27.75 | 71 | 2 1 2 |
| 31.37 | 91 | 2 1 3 |
| 32.78 | 71 | 1 2 -2 |
| 35.17 | 95 | 0 1 -4 |
| 37.11 | 100 | 0 2 4 |
| 39.97 | 77 | -2 1 2 |
| 40.49 | 73 | 3 1 2 |
| 40.76 | 69 | 2 0 4 |

Atomic structure:
a b c (Å): 6.9982 7.0760 12.6127
angles (deg): 76.38 82.26 62.50
Space group P1 (No. 1)
Symmetry-distinct sites (fractional):
Mg 0.0000 0.0000 0.0000 x1
Mg 0.0059 0.3728 0.3542 x1
Mg 0.1374 0.4928 0.0887 x1
Mg 0.2005 0.0760 0.7665 x1
Mg 0.2240 0.4871 0.5234 x1
Mg 0.4134 0.9390 0.5457 x1
Mg 0.4310 0.1286 0.9856 x1
Mg 0.6208 0.7029 0.1497 x1
Mg 0.7734 0.6952 0.7290 x1
Mg 0.8567 0.1925 0.2051 x1
Si 0.0321 0.3883 0.8994 x1
Si 0.1203 0.8195 0.6612 x1
Si 0.2500 0.7959 0.3283 x1
Si 0.2978 0.4567 0.7714 x1
Si 0.3175 0.0791 0.2112 x1
Si 0.4476 0.1719 0.3470 x1
Si 0.4609 0.7539 0.9302 x1
Si 0.5232 0.1701 0.6704 x1
Si 0.5574 0.4449 0.3418 x1
Si 0.5640 0.4018 0.0431 x1
Si 0.6385 0.4044 0.8476 x1
Si 0.6989 0.3051 0.5183 x1
Si 0.7799 0.8505 0.3935 x1
Si 0.8077 0.5588 0.5448 x1
Si 0.8170 0.7525 0.9379 x1
Si 0.8319 0.0280 0.7858 x1
Si 0.9881 0.9673 0.4764 x1
Si 0.9984 0.7660 0.2281 x1

=====

No. 3
# Cs3HSe2O8